Source =
********
The following is a PBE calculation of an optimized crystal structure of Nd2InNi2, from Materials Project.

It has space group Pbam (No. 55), with a = 7.5333 Å, b = 7.7220 Å, c = 3.7739 Å, α = 90.00°, β = 90.00° and γ = 90.00°. The distinct sites, in fractional coordinates, are Nd at (0.1702, 0.1827, 0.0000), In at (0.0000, 0.5000, 0.5000) and Ni at (0.1246, 0.8898, 0.5000).

The calculation puts the formation energy from the elements at -0.426 eV per atom. The total DFT energy (no corrections) is -26.0 eV per formula unit.

* * * * *

1.
The following is a DFT calculation (r²SCAN) of an optimized crystal structure of Sm2InHg.

Properties
- Energy of formation from the pure elements: -598 meV per atom
- Total magnetization: 0.83 μB per cell
- V: 27.51 Å³ per atom

Lattice parameters (Å, degrees): 5.3790 5.3790 5.3790 60.00 60.00 60.00
Last column: nearest neighbours and their distance in Å.
Fractional positions:
Sm 0.2500 0.2500 0.2500  4 Hg 3.29, 4 In 3.29
Sm 0.7500 0.7500 0.7500  4 In 3.29, 4 Hg 3.29
In 0.0000 0.0000 0.0000  8 Sm 3.29
Hg 0.5000 0.5000 0.5000  8 Sm 3.29

=====

2.
The following is a DFT calculation (r²SCAN) of an optimized crystal structure of GdSF.

Properties
- Energy of formation from the pure elements: -3292 meV per atom
- Total magnetization: 14.00 μB per cell
- V: 16.80 Å³ per atom

Lattice parameters (Å, degrees): 3.8334 3.8334 6.8587 90.00 90.00 90.00
Last column: nearest neighbours and their distance in Å.
Fractional positions:
Gd 0.7500 0.7500 0.7713  4 F 2.48
Gd 0.2500 0.2500 0.2287  4 F 2.48
S 0.2500 0.2500 0.6467  5 Gd 2.84-2.87, 4 F 3.09
S 0.7500 0.7500 0.3533  5 Gd 2.84-2.87, 4 F 3.09
F 0.7500 0.2500 0.0000  4 Gd 2.48, 4 F 2.71
F 0.2500 0.7500 0.0000  4 Gd 2.48, 4 F 2.71

=====

3.
The following is a DFT calculation (r²SCAN) of an optimized crystal structure of Al6Fe.

Properties
- Energy of formation from the pure elements: -137 meV per atom
- Total magnetization: 0.00 μB per cell
- V: 14.61 Å³ per atom

Lattice parameters (Å, degrees): 4.8755 4.8755 8.6881 90.00 90.00 98.06
Last column: nearest neighbours and their distance in Å.
Fractional positions:
Al 0.6768 0.3233 0.0000  2 Fe 2.54, 7 Al 2.60-2.75
Al 0.6767 0.3232 0.5000  2 Fe 2.54, 7 Al 2.60-2.75
Al 0.0265 0.3907 0.7500  2 Fe 2.50-2.58, 3 Al 2.68-2.75
Al 0.3232 0.6767 0.5000  2 Fe 2.54, 7 Al 2.60-2.75
Al 0.3907 0.0265 0.7500  2 Fe 2.50-2.58, 3 Al 2.68-2.75
Al 0.6093 0.9735 0.2500  2 Fe 2.50-2.58, 3 Al 2.68-2.75
Al 0.8528 0.8528 0.9012  1 Fe 2.40, 2 Al 2.55-2.63
Al 0.3233 0.6768 0.0000  2 Fe 2.54, 7 Al 2.60-2.75
Al 0.9735 0.6093 0.2500  2 Fe 2.50-2.58, 3 Al 2.68-2.75
Al 0.8527 0.8527 0.5988  1 Fe 2.40, 2 Al 2.55-2.63
Al 0.1473 0.1473 0.0988  1 Fe 2.40, 2 Al 2.55-2.63
Al 0.1472 0.1472 0.4012  1 Fe 2.40, 2 Al 2.55-2.63
Fe 0.5383 0.5383 0.7500  10 Al 2.40-2.58
Fe 0.4617 0.4617 0.2500  10 Al 2.40-2.58

=====

4.
The following is a DFT calculation (r²SCAN) of an optimized crystal structure of ZnCr5GaSe10.

Properties
- Energy of formation from the pure elements: -830 meV per atom
- Total magnetization: 60.00 μB per cell
- V: 21.44 Å³ per atom

Lattice parameters (Å, degrees): 7.4419 26.8401 7.4421 97.97 90.00 82.03
Last column: nearest neighbours and their distance in Å.
Fractional positions:
Se 0.6484 0.2035 0.8360  3 Cr 2.48
Se 0.1520 0.1960 0.8295  1 Ga 2.42, 3 Cr 2.58-2.61
Se 0.3524 0.7957 0.6284  1 Zn 2.46, 3 Cr 2.53-2.58
Se 0.6322 0.7027 0.3513  1 Ga 2.46, 3 Cr 2.56-2.57
Se 0.3710 0.2965 0.6483  1 Zn 2.45, 3 Cr 2.51
Se 0.6324 0.6967 0.8484  1 Zn 2.45, 3 Cr 2.51
Se 0.8480 0.8041 0.1708  1 Zn 2.45, 3 Cr 2.53-2.54
Se 0.4362 0.0964 0.0482  3 Cr 2.48-2.49
Se 0.0334 0.8959 0.4480  1 Zn 2.45, 3 Cr 2.53-2.54
Se 0.2356 0.4964 0.2482  3 Cr 2.48
Se 0.6484 0.2035 0.3676  3 Cr 2.48
Se 0.7513 0.9972 0.2323  1 Ga 2.46, 3 Cr 2.56-2.57
Se 0.9519 0.5961 0.5668  1 Ga 2.41, 3 Cr 2.57-2.61
Se 0.3524 0.7957 0.1673  1 Zn 2.46, 3 Cr 2.53-2.58
Se 0.1520 0.1960 0.3665  1 Ga 2.42, 3 Cr 2.58-2.61
Se 0.7673 0.4964 0.2482  3 Cr 2.48
********

Assignment =
Say how many lines of the data further above hold the word "unit", as a bare number.

Result =
1